(Request)
Search the contents further below for the word "species" and transcribe each line that has it, please.

(Input)
~~~
# 1
DFT (the ωB97M-V functional and the def2-TZVPD basis) results for C33H35N4O3Si2Zn as an isolated structure.

XYZ file:
```
78
Properties=species:S:1:pos:R:3:forces:R:3
Zn -0.829826 -0.632603 -0.340591 0.08 -0.03 0.02
C 2.045978 1.694072 2.781741 0.00 0.02 0.00
O 1.711510 0.925656 1.656077 0.00 0.00 -0.02
C 2.560842 0.985141 0.573639 0.00 -0.03 0.00
C 3.658363 1.823896 0.522936 -0.05 -0.02 0.03
C 4.540418 1.783530 -0.557880 -0.01 0.01 0.00
C 4.301527 0.873064 -1.567340 0.01 -0.02 -0.02
C 3.189636 0.041080 -1.529238 -0.02 0.01 0.03
C 2.256714 0.080274 -0.479077 0.06 0.02 -0.05
N 1.144259 -0.714795 -0.397491 -0.05 -0.04 0.00
N 1.145294 -1.768534 -1.381716 0.07 -0.01 0.10
C 0.848801 -3.057701 -0.811106 -0.04 0.01 0.05
C -0.246945 -3.293466 0.026235 0.01 -0.04 0.01
O -1.135012 -2.395594 0.406113 0.02 0.05 -0.06
C -0.436364 -4.620618 0.528695 -0.03 0.04 0.00
C 0.400744 -5.643043 0.225195 0.06 0.01 -0.04
C 1.544855 -5.418491 -0.581887 -0.05 -0.01 0.02
C 2.456227 -6.455959 -0.880938 0.01 0.00 0.00
C 3.584325 -6.219888 -1.615763 -0.02 -0.02 0.01
C 3.846715 -4.909476 -2.066756 0.01 0.02 0.00
C 2.974462 -3.890404 -1.804300 0.02 -0.02 -0.01
C 1.775476 -4.109273 -1.074333 0.00 0.02 0.02
H 3.034549 1.428702 3.169469 0.01 0.00 0.00
H 1.293943 1.473318 3.537966 0.02 0.00 0.00
H 2.027956 2.768442 2.564823 0.01 0.00 0.00
H 3.854406 2.504390 1.339424 0.01 0.01 0.02
H 5.397624 2.443198 -0.585799 0.00 0.00 0.01
H 4.980504 0.800627 -2.409013 0.01 0.00 0.00
H 3.030355 -0.668519 -2.326330 -0.01 -0.01 -0.01
H -1.306599 -4.771888 1.156752 0.00 0.00 0.00
H 0.213122 -6.641383 0.606237 0.00 -0.01 0.00
H 2.240148 -7.450545 -0.504778 0.01 -0.01 -0.01
H 4.276016 -7.022771 -1.839100 0.00 0.00 0.00
H 4.755227 -4.706141 -2.621663 0.00 0.00 0.00
H 3.191775 -2.884445 -2.131941 0.00 0.00 -0.01
C -0.746458 2.566485 1.090133 -0.02 0.01 0.02
Si -1.699248 1.027747 1.569933 -0.07 -0.02 -0.01
C -0.908898 -0.185705 2.745905 -0.04 0.06 -0.03
C -3.416138 1.535282 2.152079 0.08 0.02 0.05
C -3.871599 2.154176 3.316781 0.00 0.01 0.01
C -5.218078 2.451352 3.452395 0.00 0.00 0.00
C -6.116018 2.135904 2.433668 0.00 0.00 0.00
C -5.673221 1.517598 1.275343 -0.02 0.01 0.02
C -4.319018 1.214147 1.131698 -0.03 -0.02 -0.06
Si -3.343508 0.355870 -0.226517 0.01 0.02 -0.04
C -3.980689 -1.387581 -0.439931 -0.05 0.03 -0.01
C -3.318959 1.426258 -1.766672 -0.05 -0.05 0.05
H -0.411794 3.102809 1.982070 0.01 0.00 0.00
H -1.407181 3.232211 0.530574 -0.02 -0.01 -0.01
H 0.126488 2.335608 0.481906 0.00 0.01 -0.01
H -0.815846 0.285438 3.729556 0.05 -0.03 0.02
H 0.066840 -0.510121 2.388463 0.03 -0.01 0.04
H -1.548799 -1.064029 2.836333 -0.03 0.00 -0.01
H -3.184095 2.403307 4.117986 0.00 0.00 0.00
H -5.580728 2.929860 4.354223 0.01 0.00 0.00
H -7.166014 2.373810 2.554984 0.00 0.00 -0.01
H -6.383090 1.270926 0.493359 0.00 -0.01 0.00
H -4.860696 -1.369934 -1.090402 0.00 -0.02 -0.01
H -4.283305 -1.757062 0.541304 0.01 -0.01 0.01
H -3.249924 -2.085680 -0.840555 0.02 0.00 -0.01
H -4.289047 1.357031 -2.268466 0.01 0.01 -0.02
H -2.535984 1.133989 -2.463877 0.02 0.01 0.00
H -3.166562 2.467822 -1.478085 0.02 0.01 0.00
N -4.124230 -1.868418 -4.861244 0.03 -0.02 -0.01
C -2.925355 -2.588672 -5.035411 -0.03 0.02 -0.01
O -2.902247 -3.491418 -5.867219 0.00 -0.02 0.00
C -1.806409 -2.217423 -4.202042 0.04 0.02 -0.03
C -0.494302 -2.791029 -4.420793 -0.07 0.07 0.01
C 0.548123 -2.419442 -3.676145 0.03 -0.05 -0.01
C 0.442172 -1.367590 -2.609200 0.02 0.06 -0.12
N -0.953228 -0.967140 -2.322919 -0.09 -0.09 0.10
C -1.932266 -1.392059 -3.101046 0.02 0.03 -0.05
H -4.764135 -2.069699 -5.614790 0.00 0.01 0.01
H -4.013153 -0.882133 -4.686828 -0.01 0.00 0.01
H -0.388727 -3.538404 -5.196848 -0.01 -0.01 0.00
H 1.524762 -2.858853 -3.831273 0.01 -0.01 0.02
H 0.979724 -0.459314 -2.916901 -0.04 0.01 -0.03
H -2.931053 -1.073170 -2.815398 0.01 0.00 0.01
```
Forces are in eV/Å.
~~~

(Here it is)
Properties=species:S:1:pos:R:3:forces:R:3